'''
Here is PbS2N2O8 after structural relaxation from the Materials Project. Energies are from PBE.

Cell and atoms, written as POSCAR:
```
PbS2N2O8
1.0
2.835 1.637 7.591
-2.835 1.637 7.591
0.000 -3.274 7.591
Pb S N O
1 2 2 8
Direct
0.000 0.000 0.000
0.392 0.392 0.392
0.608 0.608 0.608
0.199 0.199 0.199
0.801 0.801 0.801
0.273 0.273 0.700
0.273 0.700 0.273
0.300 0.727 0.727
0.327 0.327 0.327
0.673 0.673 0.673
0.700 0.273 0.273
0.727 0.300 0.727
0.727 0.727 0.300
```

Summary:
volume: 16.26 Å³ per atom
total moment: 4.0 Bohr magnetons per cell

***

Here is PdSN3O3 after structural relaxation from the Materials Project. Energies are from PBE.

Cell and atoms, written as POSCAR:
```
PdSN3O3
1.0
7.502 0.000 0.000
0.000 6.871 0.000
-5.002 0.000 13.745
Pd S N O
4 4 12 12
Direct
0.069 0.193 0.014
0.069 0.307 0.514
0.931 0.693 0.486
0.931 0.807 0.986
0.346 0.206 0.323
0.346 0.294 0.823
0.654 0.706 0.177
0.654 0.794 0.677
0.067 0.727 0.114
0.067 0.773 0.614
0.117 0.720 0.432
0.117 0.780 0.932
0.312 0.250 0.070
0.312 0.250 0.570
0.688 0.750 0.430
0.688 0.750 0.930
0.883 0.220 0.068
0.883 0.280 0.568
0.933 0.227 0.386
0.933 0.273 0.886
0.201 0.058 0.299
0.201 0.442 0.799
0.296 0.095 0.832
0.296 0.405 0.332
0.461 0.653 0.161
0.461 0.847 0.661
0.539 0.153 0.339
0.539 0.347 0.839
0.704 0.595 0.668
0.704 0.905 0.168
0.799 0.558 0.201
0.799 0.942 0.701
```

Summary:
volume: 22.14 Å³ per atom
relative energy among the computed polymorphs: 2 meV/atom
total moment: 8.0 Bohr magnetons per cell

***

In eV/f.u., the energy relative to the elements values for the records above are, in order, -6.6 6.4.

----------

Entry 1:
DyMgS3 | the Materials Project database | PBE | optimized geometry; E above lowest polymorph = 0 meV per atom; total energy after the MP2020 corrections = -0.1969 hartree per atom; energy of formation from the pure elements = -1635.9 meV per atom
1.0
6.677 0.000 0.000
-3.338 5.782 0.000
0.000 0.000 18.130
Dy Mg S
6 6 18
Direct
0.000 0.000 0.346
0.000 0.000 0.654
0.667 0.333 0.679
0.667 0.333 0.987
0.333 0.667 0.013
0.333 0.667 0.321
0.000 0.000 0.154
0.000 0.000 0.846
0.667 0.333 0.488
0.667 0.333 0.179
0.333 0.667 0.821
0.333 0.667 0.512
0.982 0.343 0.580
0.018 0.657 0.420
0.657 0.638 0.580
0.343 0.362 0.420
0.362 0.018 0.580
0.638 0.982 0.420
0.648 0.676 0.914
0.685 0.990 0.753
0.324 0.972 0.914
0.010 0.695 0.753
0.028 0.352 0.914
0.305 0.315 0.753
0.315 0.010 0.247
0.352 0.324 0.086
0.990 0.305 0.247
0.676 0.028 0.086
0.695 0.685 0.247
0.972 0.648 0.086

=====

Entry 2:
DyMgS3 | the Materials Project database | PBE | optimized geometry; E above lowest polymorph = 79 meV per atom; symmetry = C2/m, No. 12; total energy after the MP2020 corrections = -0.1940 hartree per atom; energy of formation from the pure elements = -1556.6 meV per atom
1.0
3.892 -5.720 0.000
3.892 5.720 0.000
-3.417 0.000 5.839
Dy Mg S
2 2 6
Direct
0.219 0.219 0.249
0.781 0.781 0.751
0.339 0.661 0.000
0.661 0.339 0.000
0.078 0.775 0.153
0.225 0.922 0.847
0.417 0.417 0.709
0.583 0.583 0.291
0.775 0.078 0.153
0.922 0.225 0.847

=====

Entry 3:
DyMgTiS4 | the Materials Project database | PBE | optimized geometry; symmetry = C2/m, No. 12; total energy after the MP2020 corrections = -0.2291 hartree per atom; energy of formation from the pure elements = -1854.8 meV per atom
1.0
6.540 -3.876 0.000
6.540 3.876 0.000
-4.239 0.000 6.127
Dy Mg Ti S
2 2 2 8
Direct
0.000 0.500 0.000
0.500 0.000 0.000
0.123 0.123 0.373
0.877 0.877 0.627
0.500 0.500 0.000
0.500 0.500 0.500
0.268 0.268 0.267
0.268 0.268 0.769
0.273 0.721 0.747
0.279 0.727 0.253
0.721 0.273 0.747
0.727 0.279 0.253
0.732 0.732 0.231
0.732 0.732 0.733

=====

Entry 4:
DyMgVS4 | the Materials Project database | PBE | optimized geometry; symmetry = C2/c, No. 15; total energy after the MP2020 corrections = -0.2287 hartree per atom; energy of formation from the pure elements = -1674.1 meV per atom
1.0
5.377 -5.334 0.000
5.377 5.334 0.000
-5.286 0.000 5.381
Dy Mg V S
2 2 2 8
Direct
0.000 0.500 0.000
0.500 0.000 0.500
'''

Please reproduce the data further up from the line with "volume: 16.26" to the end without additions.

volume: 16.26 Å³ per atom
total moment: 4.0 Bohr magnetons per cell

***

Here is PdSN3O3 after structural relaxation from the Materials Project. Energies are from PBE.

Cell and atoms, written as POSCAR:
```
PdSN3O3
1.0
7.502 0.000 0.000
0.000 6.871 0.000
-5.002 0.000 13.745
Pd S N O
4 4 12 12
Direct
0.069 0.193 0.014
0.069 0.307 0.514
0.931 0.693 0.486
0.931 0.807 0.986
0.346 0.206 0.323
0.346 0.294 0.823
0.654 0.706 0.177
0.654 0.794 0.677
0.067 0.727 0.114
0.067 0.773 0.614
0.117 0.720 0.432
0.117 0.780 0.932
0.312 0.250 0.070
0.312 0.250 0.570
0.688 0.750 0.430
0.688 0.750 0.930
0.883 0.220 0.068
0.883 0.280 0.568
0.933 0.227 0.386
0.933 0.273 0.886
0.201 0.058 0.299
0.201 0.442 0.799
0.296 0.095 0.832
0.296 0.405 0.332
0.461 0.653 0.161
0.461 0.847 0.661
0.539 0.153 0.339
0.539 0.347 0.839
0.704 0.595 0.668
0.704 0.905 0.168
0.799 0.558 0.201
0.799 0.942 0.701
```

Summary:
volume: 22.14 Å³ per atom
relative energy among the computed polymorphs: 2 meV/atom
total moment: 8.0 Bohr magnetons per cell

***

In eV/f.u., the energy relative to the elements values for the records above are, in order, -6.6 6.4.

----------

Entry 1:
DyMgS3 | the Materials Project database | PBE | optimized geometry; E above lowest polymorph = 0 meV per atom; total energy after the MP2020 corrections = -0.1969 hartree per atom; energy of formation from the pure elements = -1635.9 meV per atom
1.0
6.677 0.000 0.000
-3.338 5.782 0.000
0.000 0.000 18.130
Dy Mg S
6 6 18
Direct
0.000 0.000 0.346
0.000 0.000 0.654
0.667 0.333 0.679
0.667 0.333 0.987
0.333 0.667 0.013
0.333 0.667 0.321
0.000 0.000 0.154
0.000 0.000 0.846
0.667 0.333 0.488
0.667 0.333 0.179
0.333 0.667 0.821
0.333 0.667 0.512
0.982 0.343 0.580
0.018 0.657 0.420
0.657 0.638 0.580
0.343 0.362 0.420
0.362 0.018 0.580
0.638 0.982 0.420
0.648 0.676 0.914
0.685 0.990 0.753
0.324 0.972 0.914
0.010 0.695 0.753
0.028 0.352 0.914
0.305 0.315 0.753
0.315 0.010 0.247
0.352 0.324 0.086
0.990 0.305 0.247
0.676 0.028 0.086
0.695 0.685 0.247
0.972 0.648 0.086

=====

Entry 2:
DyMgS3 | the Materials Project database | PBE | optimized geometry; E above lowest polymorph = 79 meV per atom; symmetry = C2/m, No. 12; total energy after the MP2020 corrections = -0.1940 hartree per atom; energy of formation from the pure elements = -1556.6 meV per atom
1.0
3.892 -5.720 0.000
3.892 5.720 0.000
-3.417 0.000 5.839
Dy Mg S
2 2 6
Direct
0.219 0.219 0.249
0.781 0.781 0.751
0.339 0.661 0.000
0.661 0.339 0.000
0.078 0.775 0.153
0.225 0.922 0.847
0.417 0.417 0.709
0.583 0.583 0.291
0.775 0.078 0.153
0.922 0.225 0.847

=====

Entry 3:
DyMgTiS4 | the Materials Project database | PBE | optimized geometry; symmetry = C2/m, No. 12; total energy after the MP2020 corrections = -0.2291 hartree per atom; energy of formation from the pure elements = -1854.8 meV per atom
1.0
6.540 -3.876 0.000
6.540 3.876 0.000
-4.239 0.000 6.127
Dy Mg Ti S
2 2 2 8
Direct
0.000 0.500 0.000
0.500 0.000 0.000
0.123 0.123 0.373
0.877 0.877 0.627
0.500 0.500 0.000
0.500 0.500 0.500
0.268 0.268 0.267
0.268 0.268 0.769
0.273 0.721 0.747
0.279 0.727 0.253
0.721 0.273 0.747
0.727 0.279 0.253
0.732 0.732 0.231
0.732 0.732 0.733

=====

Entry 4:
DyMgVS4 | the Materials Project database | PBE | optimized geometry; symmetry = C2/c, No. 15; total energy after the MP2020 corrections = -0.2287 hartree per atom; energy of formation from the pure elements = -1674.1 meV per atom
1.0
5.377 -5.334 0.000
5.377 5.334 0.000
-5.286 0.000 5.381
Dy Mg V S
2 2 2 8
Direct
0.000 0.500 0.000
0.500 0.000 0.500